Brief:
Could you work out how many lines further down have the word "Cu" in them; a number is enough?

File:
~~~
The following is a PBE-GGA calculation of crystalline Ti4Si2Mo at its relaxed geometry, from Alexandria.

Cell: 4.366 4.366 7.754 Å, 73.65 73.65 60.00°
Fractional positions:
1 Ti 0.876 0.876 0.372
2 Ti 0.124 0.124 0.628
3 Ti 0.725 0.725 0.825
4 Si 0.611 0.611 0.167
5 Si 0.389 0.389 0.833
6 Mo 0.500 0.500 0.500
7 Ti 0.275 0.275 0.175

Summary:
total energy	-0.5736	Ry per atom
DOS at the Fermi energy	7.29	states/eV/f.u.

* * * * *

[1]
DFT (PBE) results for a relaxed structure of NaCu5C6.

a b c (Å): 7.334 10.902 7.220
angles (deg): 90.00 90.00 90.00
Space group Pnma (No. 62)
Unique sites:
Na  0.058  0.250  0.182 [4 per cell]
Cu  0.052  0.539  0.319 [8 per cell]
Cu  0.100  0.750  0.428 [4 per cell]
Cu  0.193  0.553  0.010 [8 per cell]
C  0.080  0.691  0.147 [8 per cell]
C  0.141  0.606  0.583 [8 per cell]
C  0.197  0.562  0.741 [8 per cell]

Values from the calculation:
Calculated total energy: -274.00 eV per cell

[2]
DFT (PBE) results for a relaxed structure of Nb3CuC.

a b c (Å): 4.273 4.273 4.273
angles (deg): 90.00 90.00 90.00
Space group Pm-3m (No. 221)
Unique sites:
Nb  0.000  0.000  0.500 [3 per cell]
Cu  0.500  0.500  0.500 [1 per cell]
C  0.000  0.000  0.000 [1 per cell]

Values from the calculation:
Calculated total energy: -43.35 eV per cell
Total magnetic moment: 0.00 μB/f.u.

[3]
DFT (PBE) results for a relaxed structure of Nb2CuC.

a b c (Å): 3.1464 3.1464 13.3345
angles (deg): 90.00 90.00 120.00
Space group P6_3/mmc (No. 194)
Unique sites:
Nb  0.3333  0.6667  0.0911 [4 per cell]
Cu  0.3333  0.6667  0.7500 [2 per cell]
C  0.0000  0.0000  0.0000 [2 per cell]

Values from the calculation:
Calculated total energy: -67.70 eV per cell
Total magnetic moment: 0.01 μB/f.u.

[4]
DFT (PBE) results for a relaxed structure of Nb4CuC3.

a b c (Å): 3.1546 3.1546 23.8383
angles (deg): 90.00 90.00 120.00
Space group P6_3/mmc (No. 194)
Unique sites:
Nb  0.0000  0.0000  0.1611 [4 per cell]
Nb  0.3333  0.6667  0.0563 [4 per cell]
Cu  0.3333  0.6667  0.2500 [2 per cell]
C  0.0000  0.0000  0.0000 [2 per cell]
C  0.3333  0.6667  0.6118 [4 per cell]

Values from the calculation:
Calculated total energy: -149.05 eV per cell
Total magnetic moment: 0.01 μB/f.u.

[5]
DFT (PBE) results for a relaxed structure of Nb3CuC2.

a b c (Å): 3.2036 3.2036 17.9493
angles (deg): 90.00 90.00 120.00
Space group P6_3/mmc (No. 194)
Unique sites:
Nb  0.0000  0.0000  0.0000 [2 per cell]
Nb  0.3333  0.6667  0.1368 [4 per cell]
Cu  0.0000  0.0000  0.2500 [2 per cell]
C  0.3333  0.6667  0.5755 [4 per cell]

Values from the calculation:
Calculated total energy: -108.36 eV per cell
Total magnetic moment: 0.00 μB/f.u.

[6]
DFT (PBE) results for a relaxed structure of Nb2CuC.

a b c (Å): 9.451 5.451 13.648
angles (deg): 90.00 103.34 90.00
Space group C2/c (No. 15)
Unique sites:
Nb  0.052  0.083  0.407 [8 per cell]
Nb  0.114  0.416  0.591 [8 per cell]
Nb  0.220  0.417  0.909 [8 per cell]
Cu  0.000  0.432  0.250 [4 per cell]
Cu  0.173  0.089  0.750 [8 per cell]
C  0.083  0.249  0.000 [8 per cell]
~~~

Worked solution:
9